(Listing)
<<<
No. 1
A cluster of 2 separate species, C8H20O4 in total. Source: the Open Molecules 2025 dataset; level of theory: ωB97M-V/def2-TZVPD.

Gap between HOMO and LUMO (hartree): 0.4036
Energy above the lowest of the compared OMol25 structures with the same formula, charge and spin (kcal/mol): 36.66
SMILES: CCOCOC.CCOCOC
E_LUMO (Eh): 0.0327
DFT total energy (eV): -16807.9312

Atoms and positions in Å:
O  1.68  -6.04  -0.94
O  0.80  -7.03  -2.95
C  2.48  -5.21  -1.76
C  0.56  -6.61  -1.62
C  1.60  -8.53  -4.61
C  1.49  -8.23  -3.12
H  3.06  -5.88  -2.41
H  3.18  -4.70  -1.07
H  1.98  -4.46  -2.38
H  0.11  -7.48  -1.09
H  -0.21  -5.81  -1.66
H  2.02  -7.64  -5.12
H  0.55  -8.65  -4.94
H  2.18  -9.41  -4.93
H  2.51  -8.18  -2.68
H  0.93  -9.02  -2.58
O  -2.28  -0.79  -4.59
O  -1.80  -2.69  -5.98
C  -3.71  -1.01  -4.42
C  -1.77  -1.26  -5.77
C  -0.96  -4.80  -5.34
C  -0.67  -3.36  -5.35
H  -4.40  -0.45  -5.07
H  -3.92  -0.77  -3.37
H  -3.89  -2.09  -4.58
H  -2.27  -0.79  -6.64
H  -0.69  -0.99  -5.82
H  -1.03  -5.21  -6.36
H  -1.89  -5.04  -4.80
H  -0.11  -5.28  -4.83
H  0.33  -3.03  -5.70
H  -0.74  -3.15  -4.27

---

No. 2
A structure of composition C8H21BrIOOsP2. Source: the Open Molecules 2025 dataset; level of theory: ωB97M-V/def2-TZVPD.

Gap between HOMO and LUMO (spin up / spin down) (hartree): 0.2155 / 0.2123
Energy above the lowest of the compared OMol25 structures with the same formula, charge and spin (kcal/mol): 59.61
<S²>: 6.0247
Spin multiplicity: 5
E_LUMO (spin up / spin down) (Eh): -0.4882 / -0.5612
DFT total energy (eV): -109837.6359
Total charge: +3

Atoms and positions in Å:
C  -0.67  0.17  -3.09
I  1.67  -0.36  -1.99
H  -0.36  0.53  -4.06
H  -1.12  1.02  -2.50
H  -1.32  -0.72  -3.25
Os  -0.60  -0.08  -0.85
P  0.26  1.99  0.17
C  -1.28  3.01  0.15
C  0.93  2.13  1.84
H  1.28  3.15  1.97
H  1.37  3.90  -0.67
H  1.77  1.45  2.00
H  2.49  2.51  -0.56
H  -1.70  3.09  1.15
H  0.18  1.93  2.62
C  1.50  2.83  -0.87
H  -0.98  4.01  -0.23
H  1.38  2.64  -1.94
H  -2.01  2.55  -0.53
P  0.20  -1.98  0.52
C  -1.31  -3.01  0.66
C  1.50  -3.06  -0.28
H  1.70  -1.19  2.31
H  1.22  -2.88  2.50
H  0.12  -1.59  2.99
C  0.86  -1.88  2.24
H  2.47  -2.61  -0.09
H  1.46  -4.04  0.19
H  -0.97  -4.02  0.43
H  -2.07  -2.69  -0.06
H  1.38  -3.17  -1.36
H  -1.73  -2.98  1.67
C  -2.45  -0.33  -1.22
O  -3.58  -0.44  -1.51
Br  -1.61  0.12  1.62

---

No. 3
A cluster of 2 separate species, C8H21Cl2NO3P2 in total. Source: the Open Molecules 2025 dataset; level of theory: ωB97M-V/def2-TZVPD.

Gap between HOMO and LUMO (hartree): 0.3427
SMILES: CCOCCOP(CCCN)[PH2]=O.ClCCl
E_LUMO (Eh): 0.0221
DFT total energy (eV): -59890.7226

Atoms and positions in Å:
C  3.22  -0.16  2.36
C  3.49  1.11  1.57
O  2.32  1.91  1.50
C  1.86  2.22  0.20
C  0.94  1.14  -0.36
O  -0.45  1.46  -0.25
P  -1.06  1.51  1.30
C  -1.11  -0.25  1.87
C  -1.74  -1.40  1.07
C  -1.24  -1.62  -0.36
N  -1.98  -0.87  -1.38
P  -3.19  1.86  0.90
O  -3.82  2.41  2.12
H  4.14  -0.67  2.62
H  2.68  0.10  3.27
H  2.58  -0.85  1.80
H  3.85  0.87  0.57
H  4.25  1.69  2.10
H  2.70  2.38  -0.47
H  1.30  3.15  0.29
H  1.12  0.97  -1.42
H  1.17  0.20  0.16
H  -1.65  -0.14  2.81
H  -0.08  -0.48  2.14
H  -2.83  -1.32  1.05
H  -1.52  -2.31  1.63
H  -1.35  -2.68  -0.59
H  -0.17  -1.41  -0.43
H  -1.37  -0.26  -1.90
H  -2.73  -0.33  -0.97
H  -3.20  2.71  -0.23
H  -3.84  0.69  0.44
C  -0.46  -2.31  -4.83
Cl  -1.32  -3.62  -4.02
Cl  0.32  -1.21  -3.69
H  0.32  -2.75  -5.46
H  -1.16  -1.74  -5.42

---

No. 4
A cluster of 2 separate species, C8H21ClN2Si in total. Source: the Open Molecules 2025 dataset; level of theory: ωB97M-V/def2-TZVPD.

Gap between HOMO and LUMO (spin up / spin down) (hartree): 0.2306 / 0.2186
Energy above the lowest of the compared OMol25 structures with the same formula, charge and spin (kcal/mol): 25.87
<S²>: 2.0067
Spin multiplicity: 3
E_LUMO (spin up / spin down) (Eh): 0.0300 / -0.1114
DFT total energy (eV): -32011.3858

Atoms and positions in Å:
C  1.16  -3.15  0.75
C  -3.55  0.18  0.43
>>>

(Work order)
Next, give back the whole of the data above verbatim.

(Result)
No. 1
A cluster of 2 separate species, C8H20O4 in total. Source: the Open Molecules 2025 dataset; level of theory: ωB97M-V/def2-TZVPD.

Gap between HOMO and LUMO (hartree): 0.4036
Energy above the lowest of the compared OMol25 structures with the same formula, charge and spin (kcal/mol): 36.66
SMILES: CCOCOC.CCOCOC
E_LUMO (Eh): 0.0327
DFT total energy (eV): -16807.9312

Atoms and positions in Å:
O  1.68  -6.04  -0.94
O  0.80  -7.03  -2.95
C  2.48  -5.21  -1.76
C  0.56  -6.61  -1.62
C  1.60  -8.53  -4.61
C  1.49  -8.23  -3.12
H  3.06  -5.88  -2.41
H  3.18  -4.70  -1.07
H  1.98  -4.46  -2.38
H  0.11  -7.48  -1.09
H  -0.21  -5.81  -1.66
H  2.02  -7.64  -5.12
H  0.55  -8.65  -4.94
H  2.18  -9.41  -4.93
H  2.51  -8.18  -2.68
H  0.93  -9.02  -2.58
O  -2.28  -0.79  -4.59
O  -1.80  -2.69  -5.98
C  -3.71  -1.01  -4.42
C  -1.77  -1.26  -5.77
C  -0.96  -4.80  -5.34
C  -0.67  -3.36  -5.35
H  -4.40  -0.45  -5.07
H  -3.92  -0.77  -3.37
H  -3.89  -2.09  -4.58
H  -2.27  -0.79  -6.64
H  -0.69  -0.99  -5.82
H  -1.03  -5.21  -6.36
H  -1.89  -5.04  -4.80
H  -0.11  -5.28  -4.83
H  0.33  -3.03  -5.70
H  -0.74  -3.15  -4.27

---

No. 2
A structure of composition C8H21BrIOOsP2. Source: the Open Molecules 2025 dataset; level of theory: ωB97M-V/def2-TZVPD.

Gap between HOMO and LUMO (spin up / spin down) (hartree): 0.2155 / 0.2123
Energy above the lowest of the compared OMol25 structures with the same formula, charge and spin (kcal/mol): 59.61
<S²>: 6.0247
Spin multiplicity: 5
E_LUMO (spin up / spin down) (Eh): -0.4882 / -0.5612
DFT total energy (eV): -109837.6359
Total charge: +3

Atoms and positions in Å:
C  -0.67  0.17  -3.09
I  1.67  -0.36  -1.99
H  -0.36  0.53  -4.06
H  -1.12  1.02  -2.50
H  -1.32  -0.72  -3.25
Os  -0.60  -0.08  -0.85
P  0.26  1.99  0.17
C  -1.28  3.01  0.15
C  0.93  2.13  1.84
H  1.28  3.15  1.97
H  1.37  3.90  -0.67
H  1.77  1.45  2.00
H  2.49  2.51  -0.56
H  -1.70  3.09  1.15
H  0.18  1.93  2.62
C  1.50  2.83  -0.87
H  -0.98  4.01  -0.23
H  1.38  2.64  -1.94
H  -2.01  2.55  -0.53
P  0.20  -1.98  0.52
C  -1.31  -3.01  0.66
C  1.50  -3.06  -0.28
H  1.70  -1.19  2.31
H  1.22  -2.88  2.50
H  0.12  -1.59  2.99
C  0.86  -1.88  2.24
H  2.47  -2.61  -0.09
H  1.46  -4.04  0.19
H  -0.97  -4.02  0.43
H  -2.07  -2.69  -0.06
H  1.38  -3.17  -1.36
H  -1.73  -2.98  1.67
C  -2.45  -0.33  -1.22
O  -3.58  -0.44  -1.51
Br  -1.61  0.12  1.62

---

No. 3
A cluster of 2 separate species, C8H21Cl2NO3P2 in total. Source: the Open Molecules 2025 dataset; level of theory: ωB97M-V/def2-TZVPD.

Gap between HOMO and LUMO (hartree): 0.3427
SMILES: CCOCCOP(CCCN)[PH2]=O.ClCCl
E_LUMO (Eh): 0.0221
DFT total energy (eV): -59890.7226

Atoms and positions in Å:
C  3.22  -0.16  2.36
C  3.49  1.11  1.57
O  2.32  1.91  1.50
C  1.86  2.22  0.20
C  0.94  1.14  -0.36
O  -0.45  1.46  -0.25
P  -1.06  1.51  1.30
C  -1.11  -0.25  1.87
C  -1.74  -1.40  1.07
C  -1.24  -1.62  -0.36
N  -1.98  -0.87  -1.38
P  -3.19  1.86  0.90
O  -3.82  2.41  2.12
H  4.14  -0.67  2.62
H  2.68  0.10  3.27
H  2.58  -0.85  1.80
H  3.85  0.87  0.57
H  4.25  1.69  2.10
H  2.70  2.38  -0.47
H  1.30  3.15  0.29
H  1.12  0.97  -1.42
H  1.17  0.20  0.16
H  -1.65  -0.14  2.81
H  -0.08  -0.48  2.14
H  -2.83  -1.32  1.05
H  -1.52  -2.31  1.63
H  -1.35  -2.68  -0.59
H  -0.17  -1.41  -0.43
H  -1.37  -0.26  -1.90
H  -2.73  -0.33  -0.97
H  -3.20  2.71  -0.23
H  -3.84  0.69  0.44
C  -0.46  -2.31  -4.83
Cl  -1.32  -3.62  -4.02
Cl  0.32  -1.21  -3.69
H  0.32  -2.75  -5.46
H  -1.16  -1.74  -5.42

---

No. 4
A cluster of 2 separate species, C8H21ClN2Si in total. Source: the Open Molecules 2025 dataset; level of theory: ωB97M-V/def2-TZVPD.

Gap between HOMO and LUMO (spin up / spin down) (hartree): 0.2306 / 0.2186
Energy above the lowest of the compared OMol25 structures with the same formula, charge and spin (kcal/mol): 25.87
<S²>: 2.0067
Spin multiplicity: 3
E_LUMO (spin up / spin down) (Eh): 0.0300 / -0.1114
DFT total energy (eV): -32011.3858

Atoms and positions in Å:
C  1.16  -3.15  0.75
C  -3.55  0.18  0.43